Material:
........
Below is a relaxed structure of LiCu2Sn2Pd5, with properties calculated at the GGA-PBE level.

Cell lengths 9.1062, 9.1062, 3.9517 Å; angles 90.00, 90.00, 90.00 degrees
Space group P4/mbm (No. 127)
Asymmetric unit:
1 Li 0.0000 0.0000 0.0000
2 Cu 0.1250 0.3750 0.0000
3 Sn 0.1711 0.6711 0.0000
4 Pd 0.0000 0.5000 0.5000
5 Pd 0.0949 0.1892 0.5000

## Properties
DFT formation energy, eV/atom: -0.26



Below is a relaxed structure of SiRu2Au2, with properties calculated at the GGA-PBE level.

Cell lengths 6.0991, 6.0991, 4.3924 Å; angles 90.00, 90.00, 90.00 degrees
Space group P4/mbm (No. 127)
Asymmetric unit:
1 Si 0.0000 0.0000 0.0000
2 Ru 0.1413 0.3587 0.0000
3 Au 0.1704 0.6704 0.5000

## Properties
Formation energy from raw total energies, eV per atom: 0.08



Below is a relaxed structure of Nd6Ru2PtBr3, with properties calculated at the GGA-PBE level.

Cell lengths 7.1501, 12.3859, 8.2107 Å; angles 90.00, 106.85, 90.00 degrees
Space group C2/m (No. 12)
Asymmetric unit:
1 Nd 0.2201 0.0000 0.1968
2 Nd 0.2382 0.3274 0.1971
3 Ru 0.0000 0.1665 0.0000
4 Pt 0.0000 0.5000 0.0000
5 Br 0.0000 0.0000 0.5000
6 Br 0.0000 0.3311 0.5000

## Properties
Formation energy from raw total energies, eV per atom: -0.96



Below is a relaxed structure of TeRhN2O, with properties calculated at the GGA-PBE level.

Cell lengths 3.6751, 3.6751, 5.8770 Å; angles 90.00, 90.00, 90.00 degrees
Space group P4/mmm (No. 123)
Asymmetric unit:
1 Te 0.0000 0.0000 0.0000
2 Rh 0.0000 0.0000 0.5000
3 N 0.0000 0.5000 0.5000
4 O 0.5000 0.5000 0.0000

## Properties
Formation energy from raw total energies, eV per atom: 1.00



Below is a relaxed structure of KNi, with properties calculated at the GGA-PBE level.

Cell lengths 2.9430, 5.9063, 6.2901 Å; angles 107.44, 103.49, 90.14 degrees
Space group P-1 (No. 2)
Asymmetric unit:
1 K 0.1012 0.3083 0.1972
2 Ni 0.3168 0.1204 0.6325

## Properties
Polymorph energy (0 for the lowest one), eV per atom: 0.162
DFT formation energy, eV/atom: 0.67



Below is a relaxed structure of PrDy12Ho2, with properties calculated at the GGA-PBE level.

Cell lengths 7.1159, 11.1475, 24.3400 Å; angles 90.00, 94.17, 90.00 degrees
Space group C2/m (No. 12)
Asymmetric unit:
1 Pr 0.2503 0.0000 0.0006
2 Dy 0.0180 0.2499 0.0754
3 Dy 0.1121 0.2530 0.4448
4 Dy 0.1406 0.0000 0.5768
5 Dy 0.1456 0.5000 0.5724
6 Dy 0.1675 0.2524 0.6695
7 Dy 0.2005 0.2485 0.7973
8 Dy 0.2159 0.5000 0.8601
9 Dy 0.2166 0.0000 0.8618
10 Ho 0.0652 0.0000 0.2722
11 Ho 0.0697 0.5000 0.2727

## Properties
DFT formation energy, eV/atom: 0.11



Below is a relaxed structure of Na12H5Se3, with properties calculated at the GGA-PBE level.

Cell lengths 15.2218, 15.2218, 15.2218 Å; angles 90.00, 90.00, 90.00 degrees
Space group Ia-3d (No. 230)
Asymmetric unit:
1 Na 0.0292 0.0573 0.6537
2 H 0.0000 0.0000 0.0000
3 H 0.0000 0.2500 0.3750
4 Se 0.0000 0.2500 0.1250

## Properties
Total DFT energy (no corrections), eV/atom: -2.642



Below is a relaxed structure of PPdO3, with properties calculated at the GGA-PBE level.

Cell lengths 2.5325, 5.7877, 8.9497 Å; angles 90.00, 90.95, 90.00 degrees
Space group P2_1/m (No. 11)
Asymmetric unit:
1 P 0.2325 0.2500 0.2375
2 Pd 0.2596 0.2500 0.6422
3 O 0.2423 0.2500 0.4056
4 O 0.2704 0.5591 0.8139

## Properties
Formation energy from raw total energies, eV per atom: -0.96



Below is a relaxed structure of TmCdPdRh, with properties calculated at the GGA-PBE level.

Cell lengths 6.6478, 6.6478, 6.6478 Å; angles 90.00, 90.00, 90.00 degrees
Space group F-43m (No. 216)
Asymmetric unit:
1 Tm 0.0000 0.0000 0.0000
2 Cd 0.0000 0.0000 0.5000
3 Pd 0.2500 0.2500 0.7500
4 Rh 0.2500 0.2500 0.2500

## Properties
DFT formation energy, eV/atom: -0.69



Below is a relaxed structure of NaTlCd2, with properties calculated at the GGA-PBE level.

Cell lengths 8.5579, 8.5579, 6.2611 Å; angles 90.00, 90.00, 90.00 degrees
Space group I-42d (No. 122)
Asymmetric unit:
1 Na 0.0000 0.0000 0.0000
2 Tl 0.0000 0.0000 0.5000
3 Cd 0.2381 0.2500 0.6250

## Properties
........
To do:
Please return the listing earlier on word for word.
Done:
Below is a relaxed structure of LiCu2Sn2Pd5, with properties calculated at the GGA-PBE level.

Cell lengths 9.1062, 9.1062, 3.9517 Å; angles 90.00, 90.00, 90.00 degrees
Space group P4/mbm (No. 127)
Asymmetric unit:
1 Li 0.0000 0.0000 0.0000
2 Cu 0.1250 0.3750 0.0000
3 Sn 0.1711 0.6711 0.0000
4 Pd 0.0000 0.5000 0.5000
5 Pd 0.0949 0.1892 0.5000

## Properties
DFT formation energy, eV/atom: -0.26



Below is a relaxed structure of SiRu2Au2, with properties calculated at the GGA-PBE level.

Cell lengths 6.0991, 6.0991, 4.3924 Å; angles 90.00, 90.00, 90.00 degrees
Space group P4/mbm (No. 127)
Asymmetric unit:
1 Si 0.0000 0.0000 0.0000
2 Ru 0.1413 0.3587 0.0000
3 Au 0.1704 0.6704 0.5000

## Properties
Formation energy from raw total energies, eV per atom: 0.08



Below is a relaxed structure of Nd6Ru2PtBr3, with properties calculated at the GGA-PBE level.

Cell lengths 7.1501, 12.3859, 8.2107 Å; angles 90.00, 106.85, 90.00 degrees
Space group C2/m (No. 12)
Asymmetric unit:
1 Nd 0.2201 0.0000 0.1968
2 Nd 0.2382 0.3274 0.1971
3 Ru 0.0000 0.1665 0.0000
4 Pt 0.0000 0.5000 0.0000
5 Br 0.0000 0.0000 0.5000
6 Br 0.0000 0.3311 0.5000

## Properties
Formation energy from raw total energies, eV per atom: -0.96



Below is a relaxed structure of TeRhN2O, with properties calculated at the GGA-PBE level.

Cell lengths 3.6751, 3.6751, 5.8770 Å; angles 90.00, 90.00, 90.00 degrees
Space group P4/mmm (No. 123)
Asymmetric unit:
1 Te 0.0000 0.0000 0.0000
2 Rh 0.0000 0.0000 0.5000
3 N 0.0000 0.5000 0.5000
4 O 0.5000 0.5000 0.0000

## Properties
Formation energy from raw total energies, eV per atom: 1.00



Below is a relaxed structure of KNi, with properties calculated at the GGA-PBE level.

Cell lengths 2.9430, 5.9063, 6.2901 Å; angles 107.44, 103.49, 90.14 degrees
Space group P-1 (No. 2)
Asymmetric unit:
1 K 0.1012 0.3083 0.1972
2 Ni 0.3168 0.1204 0.6325

## Properties
Polymorph energy (0 for the lowest one), eV per atom: 0.162
DFT formation energy, eV/atom: 0.67



Below is a relaxed structure of PrDy12Ho2, with properties calculated at the GGA-PBE level.

Cell lengths 7.1159, 11.1475, 24.3400 Å; angles 90.00, 94.17, 90.00 degrees
Space group C2/m (No. 12)
Asymmetric unit:
1 Pr 0.2503 0.0000 0.0006
2 Dy 0.0180 0.2499 0.0754
3 Dy 0.1121 0.2530 0.4448
4 Dy 0.1406 0.0000 0.5768
5 Dy 0.1456 0.5000 0.5724
6 Dy 0.1675 0.2524 0.6695
7 Dy 0.2005 0.2485 0.7973
8 Dy 0.2159 0.5000 0.8601
9 Dy 0.2166 0.0000 0.8618
10 Ho 0.0652 0.0000 0.2722
11 Ho 0.0697 0.5000 0.2727

## Properties
DFT formation energy, eV/atom: 0.11



Below is a relaxed structure of Na12H5Se3, with properties calculated at the GGA-PBE level.

Cell lengths 15.2218, 15.2218, 15.2218 Å; angles 90.00, 90.00, 90.00 degrees
Space group Ia-3d (No. 230)
Asymmetric unit:
1 Na 0.0292 0.0573 0.6537
2 H 0.0000 0.0000 0.0000
3 H 0.0000 0.2500 0.3750
4 Se 0.0000 0.2500 0.1250

## Properties
Total DFT energy (no corrections), eV/atom: -2.642



Below is a relaxed structure of PPdO3, with properties calculated at the GGA-PBE level.

Cell lengths 2.5325, 5.7877, 8.9497 Å; angles 90.00, 90.95, 90.00 degrees
Space group P2_1/m (No. 11)
Asymmetric unit:
1 P 0.2325 0.2500 0.2375
2 Pd 0.2596 0.2500 0.6422
3 O 0.2423 0.2500 0.4056
4 O 0.2704 0.5591 0.8139

## Properties
Formation energy from raw total energies, eV per atom: -0.96



Below is a relaxed structure of TmCdPdRh, with properties calculated at the GGA-PBE level.

Cell lengths 6.6478, 6.6478, 6.6478 Å; angles 90.00, 90.00, 90.00 degrees
Space group F-43m (No. 216)
Asymmetric unit:
1 Tm 0.0000 0.0000 0.0000
2 Cd 0.0000 0.0000 0.5000
3 Pd 0.2500 0.2500 0.7500
4 Rh 0.2500 0.2500 0.2500

## Properties
DFT formation energy, eV/atom: -0.69



Below is a relaxed structure of NaTlCd2, with properties calculated at the GGA-PBE level.

Cell lengths 8.5579, 8.5579, 6.2611 Å; angles 90.00, 90.00, 90.00 degrees
Space group I-42d (No. 122)
Asymmetric unit:
1 Na 0.0000 0.0000 0.0000
2 Tl 0.0000 0.0000 0.5000
3 Cd 0.2381 0.2500 0.6250

## Properties